1. ReaperTai
    • supporter
    • 30 kudos
    Ok folks...there is now a patch in the optional files section for craftable vehicle parts.

    They can be crafted in the chem station if you are not getting them from blowing up cars.

  2. ReaperTai
    • supporter
    • 30 kudos
    It is best to drive the truck in 3rd person view. This allows for better movement as well as seeing where you are going.
    1st person view is intended for using the weapons and does not allow proper steering.
    Think of this like using a joystick to control the turret (1st person) or steering wheel to drive (3rd person).
    Using the mouse to steer in 3rd gives the most realistic feeling steering (less jerky). Sadly this is a limitation of the game since they never put in any real driving mechanics.
  3. BlahBlahDEEBlahBlah
    • premium
    • 424 kudos
    So, as of version 1.00.5, the Jeeps got a bit of an overhaul...with a dash of experimentation.
    Now there are three jeeps, which all look the same but have some distinct functional differences.
    1) The first jeep is pretty much what we had before (can see some patch notes to check edits).
    2) The second jeep has a new setup to allow for 'Gaining speed on pressing forward'. It will start out slow and gain sped as you continue to drive forward. If you stop for more than a second, the next time you press forward it will start out slow and gain speed again (somehow I'm sure there's a better way tot say this, but hopefully you all get it).
    3) Yeah, so, the third jeep is kinda weird. It has the same function as #2 BUT also includes an experimental front-wheel turning deal. As you turn left or right, the front wheels will turn left or right. I FULLY ADMIT it's kinda weird, but as I said, it's "experimental'.

    This was done to kind of test the waters on these new functions, as the Jeep was always a huge Proff of Concept for many thing (example: wheel/tire suspension it has had for a while).

    ALSO, by the way, we're giving a big thanks to Hozsa for donating some time to redo the Jeep's textures and model.
    Also, also, Cancerous1 redid the wheel/tire textures and model.
    Both donations are very much appreciated and are quite fantastic. Good job to both.

┌──
1.
8
Properties=species:S:1:pos:R:3:forces:R:3 method="wB97M-V/def2-TZVPD" total_energy_ha=-1937.04375 e_lumo_ev=-8.08 charge=+1 homo_lumo_gap_ev=6.19 multiplicity=1
Sc -0.2560 2.1683 0.5249 0.46 -4.28 -0.07
F -2.0059 0.3591 1.3486 2.01 1.74 -1.06
N 0.1162 -1.1753 -0.1576 -1.01 1.62 0.03
S 1.6091 -0.4639 0.3534 2.62 -4.41 -2.53
O 2.5172 -0.7878 -0.7846 -1.92 1.06 2.55
O 1.3378 1.0903 0.3052 -3.39 4.57 0.32
S -1.0892 -0.2637 -0.4715 -0.92 -2.09 -0.62
O -2.2294 -0.9271 -1.1185 2.15 1.79 1.37

2.
114
Properties=species:S:1:pos:R:3:forces:R:3 method="wB97M-V/def2-TZVPD" total_energy_ha=-4101.33599 relative_energy_kj_mol=0.0 e_lumo_ev="-11.13 / -11.14" charge=+3 homo_lumo_gap_ev="2.58 / 2.57" multiplicity=1
Sn -1.4226 -1.9572 -0.1505 0.21 1.81 0.41
N -3.4849 -3.7199 -2.0212 -1.30 -1.35 -0.94
C -2.5272 -4.5938 -1.5571 0.63 1.86 0.44
N -2.2815 -5.7558 -2.0673 -0.09 -0.12 0.41
C -1.2434 -6.4199 -1.4795 0.04 -1.00 -1.61
N -0.8724 -7.5581 -2.0605 -0.28 -0.15 -0.29
N -0.5297 -6.0430 -0.4231 -0.18 2.24 2.24
C -0.8249 -4.8213 0.0633 -0.49 -2.05 -1.98
N -1.7239 -4.0092 -0.5674 0.26 -1.57 0.64
C -0.1523 -4.3402 1.2815 1.02 1.35 1.37
C 0.4872 -5.1756 2.1885 0.04 1.44 -0.93
C 1.2457 -4.5771 3.2292 0.26 -1.44 -0.09
C 1.2350 -3.2275 3.4709 -0.19 -0.29 -0.69
C 0.5501 -2.4243 2.5282 -1.10 -0.23 -0.30
N -0.1410 -2.9472 1.4647 0.79 -0.99 0.71
H -4.1994 -4.1188 -2.7027 1.46 0.63 1.29
H -3.8956 -3.0750 -1.3426 0.27 -0.48 -0.35
H -1.3596 -7.8731 -2.8989 0.17 0.13 0.48
H -0.1406 -8.1482 -1.6693 -0.32 0.42 -0.07
H 0.4900 -6.2300 2.0011 0.06 -0.35 0.07
H 1.9101 -5.2803 3.7747 -0.71 0.79 0.06
H 1.7762 -2.8086 4.3197 -0.09 0.13 -0.40
H 0.5973 -0.7878 3.5879 0.20 -0.40 -1.03
O -1.7468 2.5050 0.7697 -0.11 0.02 0.66
S -1.6558 3.9271 1.2583 0.88 0.80 -0.92
C 0.0395 4.3212 1.8396 0.51 0.42 0.80
C 0.7731 3.4602 2.9133 0.06 0.07 -0.53
C 2.2775 3.4808 2.6049 -0.06 0.72 0.23
C 3.2704 3.4853 3.7667 -0.35 1.01 0.25
S 3.0150 2.3290 5.1483 -0.39 0.61 -0.64
O 0.5137 -1.0863 2.6457 -0.38 -0.19 0.40
C 4.1213 1.0438 4.7620 0.26 -1.39 -0.18
C 3.7271 -0.0659 3.9898 0.43 -0.57 0.08
C 4.4645 -1.2837 4.0545 0.39 1.21 -0.09
C 5.6330 -1.3457 4.8213 -0.40 1.20 1.01
C 6.0829 -0.1677 5.4935 -0.45 -1.35 0.49
C 5.3208 1.0095 5.4656 1.04 -0.30 -0.50
C -2.4830 4.2131 2.7851 0.24 0.00 1.26
C -2.4552 5.5215 3.2975 -0.47 -1.12 0.52
C -3.1029 5.7333 4.5169 0.41 -0.36 0.65
C -3.6157 4.6551 5.2567 -0.13 0.75 -0.16
C -3.6230 3.3897 4.7173 -1.71 -1.03 0.42
C -3.0596 3.1583 3.4849 0.21 0.83 -1.28
H -0.0106 5.3500 2.2550 -0.28 -0.47 -0.44
H 0.6645 4.4294 0.9488 -0.27 -0.32 -0.16
H 0.4242 2.4454 2.8775 -0.36 -0.56 0.13
H 0.6130 3.8426 3.9183 -0.31 0.09 0.03
H 2.4336 4.4338 2.1022 0.42 0.13 -0.18
H 2.5279 2.7307 1.8927 0.12 -0.82 -0.68
H 3.0925 4.4517 4.2662 0.43 -0.15 -0.11
H 4.3151 3.4730 3.3844 -0.68 -0.11 0.46
H 2.8587 0.0884 3.3297 0.29 -0.44 0.45
H 4.2285 -2.1837 3.5007 -0.46 0.16 -0.18
H 6.1025 -2.3171 5.0174 0.06 0.57 -0.31
H 6.9014 -0.2958 6.2295 -0.28 0.45 -0.89
H 5.7115 1.9470 5.8818 -0.37 -0.62 0.35
└──
_End of the molecular data_

    Thank you and have fun.
  4. alexandert
    • member
    • 3 kudos
    Hello. Its greate mod. Actually its probably the best and most immersive on site. Smol size, no frills, weapons, storage, customization, mini home in pod or crate.
    It have some bugs but they can be avoided:
    1. CTD when opening workshop category - travel to enother settlement walk back and forth a little and fast travel back - now scripts loaded and you can build trucks.
    2. Cab grates kill truck damage. No grate - 15 dmg, equip grate - 1 dmg. So dont equip grates.
  5. SnakeSlippers
    • premium
    • 10 kudos
    After testing a bunch of different driving mods and fast travel mods this one might be the best. Love the whole house on wheels thing going on. I wish y'all would come back to polish this one up. Add different options and fix some things. 

    I want to strip stuff from this like automatically add the perks to myself so I can remove all worldspace edits like magazines and guards. And remove all hover and tread parts cause they crash the game for me.

    I managed to remove hover parts and merge crafting vehicle parts at the chem bench.
    Anyone know how to automatically add the perks or magazines to inventory so I can remove world edits.
  6. MadMakers
    • supporter
    • 52 kudos
    Hi how i can contact you ? i wanted help for a creature driveable mod
  7. jlg34x
    • premium
    • 1 kudos
    Was wondering if anyone knows if this is compatible with "Flyable Personal Vertibird"? 
    Can't get companions to get in Jeep and I'm not sure if its just that its unreliable or if its another mod clashing here.
  8. SKSNORK122
    • member
    • 0 kudos
    There's an issue on console where when you're in first person driving the truck you cannot look around but your character and the gun move around without the camera following, seems to happen randomly out of the blue
  9. UnforgivenWar
    • member
    • 5 kudos
    There is a way to put the Pain Train perk on the Truck? i want to run people
  10. CharlieOnYourSix
    • member
    • 2 kudos
    The truck doesnt have sound at all, any idea why is that or the mod is made that way? the apc has but not the truck sadly.
  11. soyhannibalsmith
    • member
    • 0 kudos
    First of all, thank you for this wonderful mod and all the effort that has been put into it and in all the 'driveables'
    i played it on xbox one in my first fo4 games and i loved it
    I have seen that with respect to the rest of driving modifications it has become obsolete, although it really is one of the best ideas that have been made with the 'driveables'
    As the wheels did not turn I always used it with the thrusters and it seemed more beautiful and realistic, but recently I saw the mod of 'The SHCARCARST - Settlement Hover Cart' and I thought, 'it would be a godsend if the truck had that animation and collision like the thrusters of The SHCARCAST '. I don't know how much possibility there is of being able to do that, I would really pay to do a revision or a remake of the Trucks with new things.
    I have been curious about CK and Blender but I find it quite difficult, there are hardly any translations for my language it is quite frustrating, I hope I could make modifications like the ones all of you have done, without a doubt you have given infinitly more life to the game. Sincerely.

    My English may seem a bit strange but my dumb country did not invest in bilingual education, sorry xD
  12. rawkus1977
    • supporter
    • 8 kudos
    Loving this mod, it would be great to steer in first person though, super cool view in FP on an UW monitor.
    What would be the best way to edit this myself?
    Any help would be greatly appreciated
  13. Chuckstarr
    • premium
    • 1 kudos
    In case anyone was browsing the comments to check if this is safe to install in 2021 - I can confirm that it is, at least for my 50+ hour ongoing playthrough with well over 300 mods. Sure there are bugs, but nothing big like crashes or corrupt saves. Just make sure to avoid any vertibird-related mods or major camera overhauls (FoV Slider is 100% compatible though) and you're good to go. I can't imagine playing FO4 without my little mobile crate home!